# Job
Quote the lines further down up to the one that holds "2.8365", that line included.
# Entries
~~~
C7H13N3O | wB97M-V/def2-TZVPD

The geometry in ORCA input format:
```
! RIJCOSX wB97M-V def2-TZVPD def2/J DEFGRID3
* xyz 2 1
C -0.4568 0.1883 -1.3042
C 0.7038 -0.0715 -0.3853
C -2.0603 -1.3973 3.5416
C 1.4649 0.3690 2.1409
C -0.1123 0.3706 -2.7174
C 0.7621 0.2583 0.8839
C 1.4114 0.4246 -4.4992
N -1.6259 -0.2298 3.5891
N -2.5486 -2.4335 3.3140
N 0.0795 0.8585 1.9603
O 1.0592 0.2955 -3.1346
H -1.1680 -0.6539 -1.2774
H 1.5505 -0.5909 -0.8086
H 1.5702 -0.4938 2.7848
H 2.2649 1.0926 2.2330
H -0.9359 0.5576 -3.4152
H 2.0926 1.2747 -4.5927
H 0.5416 0.5582 -5.1441
H 1.9694 -0.4715 -4.7832
H -1.9174 0.3863 4.3382
H -1.0569 1.0475 -0.9743
H -2.6127 -3.4156 3.4857
H -0.9176 0.2115 2.8365
H -0.0579 1.8644 1.9280
*
```

The calculation puts the LUMO energy at -7.941 eV. The value obtained for the relative energy (zero: lowest compared OMol25 entry of this formula, charge and spin) is 101.6 kJ/mol. Its gap between HOMO and LUMO is 8.86 eV.


C4H8N2O | wB97M-V/def2-TZVPD

The geometry in ORCA input format:
```
! RIJCOSX wB97M-V def2-TZVPD def2/J DEFGRID3
* xyz 0 1
C -2.0365 -0.4677 0.2254
C -0.8497 -0.0288 -0.6009
N -0.1899 1.2944 -0.4490
C 0.3644 1.0649 0.9001
C 0.5484 0.0626 -0.1559
N 1.7226 -0.2921 -0.8772
O 2.6196 -0.9449 0.0114
H -2.9371 0.0547 -0.1153
H -1.9180 -0.2764 1.2944
H -2.1982 -1.5434 0.0955
H -0.9529 -0.2608 -1.6622
H 2.2025 0.5647 -1.1475
H -0.2995 0.8746 1.7419
H 1.2052 1.7185 1.1234
H 2.7191 -1.8203 -0.3840
*
```

The calculation puts the LUMO energy at 1.021 eV. The SMILES is C[C@H]1N2C[C@@]12NO. The value obtained for the relative energy (zero: lowest compared OMol25 entry of this formula, charge and spin) is 471.0 kJ/mol. Its gap between HOMO and LUMO is 10.71 eV.


C6H15NO | wB97M-V/def2-TZVPD

The geometry in ORCA input format:
```
! RIJCOSX wB97M-V def2-TZVPD def2/J DEFGRID3
* xyz 0 1
C 1.4330 1.9483 0.3530
C 1.7170 0.5680 -0.2425
C 0.1244 2.5488 -0.0852
O 0.0153 3.2321 -1.0825
N -0.9592 2.2595 0.6999
H 1.5372 1.9147 1.4411
H 2.2057 2.6307 -0.0002
H 1.0498 0.2333 -1.0399
H 1.7378 -0.2040 0.5252
H -1.8643 2.5206 0.3427
H -0.9565 1.4830 1.3493
H 2.6593 0.5449 -0.7950
C -1.2857 -1.4699 -0.2250
C -0.4180 -1.9685 -1.3660
C -0.7591 -1.8337 1.1850
H -2.2783 -1.9144 -0.2895
H -1.3757 -0.3885 -0.2589
H -0.6184 -1.3831 -2.2610
H 0.6409 -2.0754 -1.1528
H -1.5574 -1.9437 1.9182
H -0.1554 -1.0020 1.5654
H -0.7293 -2.9598 -1.7073
H -0.1630 -2.7409 1.1259
*
```

The calculation puts the LUMO energy at 0.868 eV. The SMILES is CCC(N)=O.CCC. The value obtained for the relative energy (zero: lowest compared OMol25 entry of this formula, charge and spin) is 61.8 kJ/mol. Its gap between HOMO and LUMO is 10.62 eV.


C15H29N3O6 | wB97M-V/def2-TZVPD

The geometry in ORCA input format:
```
! RIJCOSX wB97M-V def2-TZVPD def2/J DEFGRID3
* xyz 0 1
C 2.3865 -0.5098 1.4793
O 2.8448 -0.6181 0.1767
C 1.8095 -1.1288 -0.6580
C 2.2136 -1.1563 -2.1451
O 2.6812 0.0563 -2.6058
C 1.5469 0.7622 -3.2469
C 1.9586 2.2214 -3.4422
O 2.3816 2.8435 -2.3208
C 1.3441 3.2066 -1.3680
H 3.0976 -0.0066 2.1345
H 2.2171 -1.4437 2.0152
H 1.4856 0.1010 1.4215
H 0.8536 -0.6364 -0.4793
H 1.6412 -2.1841 -0.4433
H 1.3765 -1.5946 -2.6884
H 3.1188 -1.7595 -2.2141
H 0.6302 0.7387 -2.6576
H 1.3563 0.3497 -4.2376
H 1.0560 2.7785 -3.6934
H 2.7567 2.2553 -4.1839
H 0.8074 2.5033 -0.7313
H 0.6681 4.0171 -1.6405
H 2.0165 3.5817 -0.5964
C -2.4742 1.7292 0.2114
O -2.0267 0.8208 -0.7915
C -1.7480 1.3262 -2.0284
O -1.9410 2.5091 -2.3392
O -1.1385 0.2725 -2.7274
C -0.9277 -1.0120 -2.2816
H -2.2186 1.3842 1.2133
H -3.5419 1.9414 0.1550
H -1.8963 2.6533 0.1981
H -1.8813 -1.5399 -2.2806
H -0.5754 -1.0299 -1.2502
H -0.2353 -1.3939 -3.0318
C 0.9222 -0.2808 6.2038
C 0.1620 0.1443 5.0041
N -0.4718 0.5216 4.1268
H 1.7898 0.3748 6.2785
H 1.3613 -1.2743 6.1134
H 0.2412 -0.0857 7.0322
C -0.8362 0.0442 1.5014
C -0.4012 -1.2492 0.9755
N -0.0299 -2.2612 0.5680
H -0.3226 0.8239 0.9390
H -0.6601 0.2758 2.5519
H -1.9211 -0.0517 1.4581
C -3.7237 -3.6128 0.7793
C -3.2251 -2.2853 0.5741
N -2.8022 -1.2084 0.4484
~~~
# Written answer
C7H13N3O | wB97M-V/def2-TZVPD

The geometry in ORCA input format:
```
! RIJCOSX wB97M-V def2-TZVPD def2/J DEFGRID3
* xyz 2 1
C -0.4568 0.1883 -1.3042
C 0.7038 -0.0715 -0.3853
C -2.0603 -1.3973 3.5416
C 1.4649 0.3690 2.1409
C -0.1123 0.3706 -2.7174
C 0.7621 0.2583 0.8839
C 1.4114 0.4246 -4.4992
N -1.6259 -0.2298 3.5891
N -2.5486 -2.4335 3.3140
N 0.0795 0.8585 1.9603
O 1.0592 0.2955 -3.1346
H -1.1680 -0.6539 -1.2774
H 1.5505 -0.5909 -0.8086
H 1.5702 -0.4938 2.7848
H 2.2649 1.0926 2.2330
H -0.9359 0.5576 -3.4152
H 2.0926 1.2747 -4.5927
H 0.5416 0.5582 -5.1441
H 1.9694 -0.4715 -4.7832
H -1.9174 0.3863 4.3382
H -1.0569 1.0475 -0.9743
H -2.6127 -3.4156 3.4857
H -0.9176 0.2115 2.8365